(Source)
Material: AcTlCoF6
Method: DFT, GGA+U
State: relaxed

Its crystal system is orthorhombic. Its calculated density is 6065 kg/m3. The electronic total energy comes out at -5.466 eV per atom.

The space group is Imma (No. 74) and the conventional cell measures 7.626, 8.371 and 10.368 Å, with angles of 90.00, 90.00 and 90.00 degrees. The inequivalent atoms are Ac at (0.000, 0.000, 0.000), Tl at (0.000, 0.250, 0.438), Co at (0.250, 0.250, 0.750), F at (0.000, 0.250, 0.123), F at (0.000, 0.250, 0.838) and F at (0.220, 0.077, 0.614).

* * * * *

This record from Alexandria via LeMat-Bulk describes a relaxed MnB2F crystal. The functional is PBE+U.

a = 5.180 Å, b = 5.180 Å, c = 4.847 Å
α = 57.71°, β = 57.71°, γ = 90.00°
Fractional positions:
B 0.597 0.125 0.250
B 0.375 0.403 0.750
B 0.153 0.625 0.250
B 0.875 0.847 0.750
F 0.500 0.500 0.000
F 0.250 0.750 0.500
Mn 0.000 0.000 0.000
Mn 0.750 0.250 0.500

**Energy**: -4.5798 eV/atom
**D(E_F)**: 0.303 states/eV/atom
**ΔE to the lowest computed polymorph**: 0.00 kcal/mol of atoms
**Spin magnetization**: 4.54 μB per cell
**Space group**: I-42d (122)

* * * * *

TaTl2Ir3O12 PBE optimized geometry; formation energy without anion corrections = -1.069 eV/atom
1.0
-3.775 6.271 0.114
-3.221 2.367 6.133
2.521 5.869 3.576
Tl Ir O Ta
2 3 12 1
Cartesian
-1.647 5.338 3.614
-2.829 9.170 6.209
-1.611 1.183 3.066
-1.887 3.136 0.057
1.260 2.935 1.788
-3.371 6.027 6.831
-4.589 6.354 4.544
-5.671 9.935 6.966
0.114 8.153 5.279
-1.883 9.693 9.049
-2.216 12.042 5.428
1.196 4.573 2.857
-2.260 2.465 4.395
-3.707 8.397 3.177
-1.104 8.480 2.992
-2.592 4.815 0.774
-0.768 6.110 6.646
0.000 0.000 0.000

CrFe2Ru PBE optimized geometry; formation energy = 0.15 eV per atom
1.0
3.997 0.000 0.000
0.000 2.559 0.015
0.000 1.053 4.833
Fe Ru Cr
2 1 1
Cartesian
1.998 0.810 1.139
0.000 2.557 0.044
0.000 1.829 2.454
1.998 2.781 3.651

Dy2CuAuO5 PBE optimized geometry; formation energy without anion corrections = -1.831 eV/atom
1.0
3.436 0.000 0.000
-1.718 6.345 0.000
0.000 0.000 11.250
O Dy Au Cu
10 4 2 2
Cartesian
1.718 3.237 1.944
1.718 0.718 3.132
1.718 1.824 9.223
0.000 5.035 0.590
0.000 4.520 3.598
0.000 5.627 8.756
1.718 1.309 6.215
0.000 3.108 7.569
0.000 1.241 0.802
1.718 5.103 6.426
1.718 5.430 2.168
0.000 0.915 7.792
0.000 2.353 2.978
1.718 3.992 8.603
1.718 0.328 10.610
0.000 6.016 4.985
0.000 3.137 0.324
1.718 3.207 5.949

Ti12VAs6 PBE optimized geometry; formation energy = -0.48 eV per atom
1.0
-4.526 6.129 -0.269
-4.255 -6.325 0.001
4.244 0.229 6.329
Ti As V
12 6 1
Cartesian
-2.486 -5.354 1.956
-0.334 -1.111 2.529
-2.608 -0.512 0.823
0.664 -3.372 6.187
-1.049 1.651 1.979
-6.774 -1.956 0.610
-4.204 1.143 3.532
-3.489 -1.618 4.082
-2.052 5.387 4.105
2.236 1.989 5.451
-1.930 0.544 5.238
-5.202 3.405 -0.126
-2.377 -2.806 2.041
-1.035 -1.979 4.889
-2.161 2.839 4.020
-3.503 2.012 1.172
0.403 0.834 4.103
-4.941 -0.801 1.958
0.000 0.000 0.000

* * * * *

CsHoInSe3: relaxed, GGA-PBE.

Unit cell a=4.4510 b=16.0860 c=11.5430 alpha=90.00 beta=90.00 gamma=90.00
With the nearest neighbours (Å) after each atom.
Space group Cmcm (No. 63)
Symmetry-distinct sites (fractional):
Cs: 0.0000 0.2416 0.2500 (multiplicity 4)  8 Se 3.72-4.05, 2 In 4.13
Ho: 0.0000 0.5000 0.0000 (multiplicity 4)  6 Se 2.94-3.02
In: 0.0000 0.0424 0.7500 (multiplicity 4)  4 Se 2.73-2.80
Se: 0.0000 0.1177 0.5316 (multiplicity 8)  1 In 2.80, 2 Ho 2.94
Se: 0.0000 0.4440 0.7500 (multiplicity 4)  2 In 2.73, 2 Ho 3.02

Results
total magnetization	0.21	Bohr magnetons per cell
calculated volume	34.436	Å³ per atom
calculated density	5.2	g cm⁻³
energy	-4.27	eV per atom

ScZnFePd: relaxed, GGA-PBE.

Unit cell a=6.3234 b=6.3234 c=6.3234 alpha=90.00 beta=90.00 gamma=90.00
With the nearest neighbours (Å) after each atom.
Space group F-43m (No. 216)
Symmetry-distinct sites (fractional):
Sc: 0.0000 0.0000 0.0000 (multiplicity 4)  4 Pd 2.74, 4 Zn 2.74
Zn: 0.2500 0.2500 0.2500 (multiplicity 4)  4 Fe 2.74, 4 Sc 2.74
Fe: 0.0000 0.0000 0.5000 (multiplicity 4)  4 Zn 2.74, 4 Pd 2.74
(To do)
The reader should reproduce the lines above from the one with "states/eV/atom" to the one with "c=6.3234 alpha=90.00" exactly.
(Here it is)
**D(E_F)**: 0.303 states/eV/atom
**ΔE to the lowest computed polymorph**: 0.00 kcal/mol of atoms
**Spin magnetization**: 4.54 μB per cell
**Space group**: I-42d (122)

* * * * *

TaTl2Ir3O12 PBE optimized geometry; formation energy without anion corrections = -1.069 eV/atom
1.0
-3.775 6.271 0.114
-3.221 2.367 6.133
2.521 5.869 3.576
Tl Ir O Ta
2 3 12 1
Cartesian
-1.647 5.338 3.614
-2.829 9.170 6.209
-1.611 1.183 3.066
-1.887 3.136 0.057
1.260 2.935 1.788
-3.371 6.027 6.831
-4.589 6.354 4.544
-5.671 9.935 6.966
0.114 8.153 5.279
-1.883 9.693 9.049
-2.216 12.042 5.428
1.196 4.573 2.857
-2.260 2.465 4.395
-3.707 8.397 3.177
-1.104 8.480 2.992
-2.592 4.815 0.774
-0.768 6.110 6.646
0.000 0.000 0.000

CrFe2Ru PBE optimized geometry; formation energy = 0.15 eV per atom
1.0
3.997 0.000 0.000
0.000 2.559 0.015
0.000 1.053 4.833
Fe Ru Cr
2 1 1
Cartesian
1.998 0.810 1.139
0.000 2.557 0.044
0.000 1.829 2.454
1.998 2.781 3.651

Dy2CuAuO5 PBE optimized geometry; formation energy without anion corrections = -1.831 eV/atom
1.0
3.436 0.000 0.000
-1.718 6.345 0.000
0.000 0.000 11.250
O Dy Au Cu
10 4 2 2
Cartesian
1.718 3.237 1.944
1.718 0.718 3.132
1.718 1.824 9.223
0.000 5.035 0.590
0.000 4.520 3.598
0.000 5.627 8.756
1.718 1.309 6.215
0.000 3.108 7.569
0.000 1.241 0.802
1.718 5.103 6.426
1.718 5.430 2.168
0.000 0.915 7.792
0.000 2.353 2.978
1.718 3.992 8.603
1.718 0.328 10.610
0.000 6.016 4.985
0.000 3.137 0.324
1.718 3.207 5.949

Ti12VAs6 PBE optimized geometry; formation energy = -0.48 eV per atom
1.0
-4.526 6.129 -0.269
-4.255 -6.325 0.001
4.244 0.229 6.329
Ti As V
12 6 1
Cartesian
-2.486 -5.354 1.956
-0.334 -1.111 2.529
-2.608 -0.512 0.823
0.664 -3.372 6.187
-1.049 1.651 1.979
-6.774 -1.956 0.610
-4.204 1.143 3.532
-3.489 -1.618 4.082
-2.052 5.387 4.105
2.236 1.989 5.451
-1.930 0.544 5.238
-5.202 3.405 -0.126
-2.377 -2.806 2.041
-1.035 -1.979 4.889
-2.161 2.839 4.020
-3.503 2.012 1.172
0.403 0.834 4.103
-4.941 -0.801 1.958
0.000 0.000 0.000

* * * * *

CsHoInSe3: relaxed, GGA-PBE.

Unit cell a=4.4510 b=16.0860 c=11.5430 alpha=90.00 beta=90.00 gamma=90.00
With the nearest neighbours (Å) after each atom.
Space group Cmcm (No. 63)
Symmetry-distinct sites (fractional):
Cs: 0.0000 0.2416 0.2500 (multiplicity 4)  8 Se 3.72-4.05, 2 In 4.13
Ho: 0.0000 0.5000 0.0000 (multiplicity 4)  6 Se 2.94-3.02
In: 0.0000 0.0424 0.7500 (multiplicity 4)  4 Se 2.73-2.80
Se: 0.0000 0.1177 0.5316 (multiplicity 8)  1 In 2.80, 2 Ho 2.94
Se: 0.0000 0.4440 0.7500 (multiplicity 4)  2 In 2.73, 2 Ho 3.02

Results
total magnetization	0.21	Bohr magnetons per cell
calculated volume	34.436	Å³ per atom
calculated density	5.2	g cm⁻³
energy	-4.27	eV per atom

ScZnFePd: relaxed, GGA-PBE.

Unit cell a=6.3234 b=6.3234 c=6.3234 alpha=90.00 beta=90.00 gamma=90.00